Material
/*
Record 1
The following is a PBE calculation of a relaxed DyLuMgOs crystal, from the Alexandria database.

abc: 4.946 4.946 4.946
angles: 60.00 60.00 60.00
Positions (direct):
Mg1 0.750 0.750 0.750
Lu1 0.500 0.500 0.500
Os1 0.250 0.250 0.250
Dy1 0.000 0.000 0.000

* magnetic moment: 0.00 μB per formula unit
* symmetry: F-43m, No. 216
* calculated formation energy: -178 meV/atom

Record 2
The following is a PBE calculation of a relaxed DyLuMgPb crystal, from the Alexandria database.

abc: 5.320 5.320 5.320
angles: 60.00 60.00 60.00
Positions (direct):
Pb1 0.500 0.500 0.500
Mg1 0.000 0.000 0.000
Lu1 0.750 0.750 0.750
Dy1 0.250 0.250 0.250

* magnetic moment: 0.00 μB per formula unit
* symmetry: F-43m, No. 216
* calculated formation energy: -227 meV/atom

Record 3
The following is a PBE calculation of a relaxed DyLuMgPt crystal, from the Alexandria database.

abc: 5.030 5.030 5.030
angles: 60.00 60.00 60.00
Positions (direct):
Mg1 0.250 0.250 0.250
Lu1 0.500 0.500 0.500
Pt1 0.750 0.750 0.750
Dy1 0.000 0.000 0.000

* magnetic moment: 0.00 μB per formula unit
* symmetry: F-43m, No. 216
* calculated formation energy: -621 meV/atom

Record 4
The following is a PBE calculation of a relaxed DyLuPuMg crystal, from the Alexandria database.

abc: 5.408 5.408 5.408
angles: 60.00 60.00 60.00
Positions (direct):
Mg1 0.000 0.000 0.000
Lu1 0.250 0.250 0.250
Dy1 0.750 0.750 0.750
Pu1 0.500 0.500 0.500

* magnetic moment: 6.26 μB per formula unit
* symmetry: F-43m, No. 216
* calculated formation energy: 150 meV/atom

Record 5
The following is a PBE calculation of a relaxed SmDyLuMg crystal, from the Alexandria database.

abc: 5.493 5.493 5.493
angles: 60.00 60.00 60.00
Positions (direct):
Mg1 0.750 0.750 0.750
Lu1 0.250 0.250 0.250
Sm1 0.000 0.000 0.000
Dy1 0.500 0.500 0.500

* magnetic moment: 0.00 μB per formula unit
* symmetry: F-43m, No. 216
* calculated formation energy: 20 meV/atom

Record 6
The following is a PBE calculation of a relaxed DyLuMgTc crystal, from the Alexandria database.

abc: 4.983 4.983 4.983
angles: 60.00 60.00 60.00
Positions (direct):
Mg1 0.000 0.000 0.000
Lu1 0.750 0.750 0.750
Tc1 0.500 0.500 0.500
Dy1 0.250 0.250 0.250

* magnetic moment: 0.00 μB per formula unit
* symmetry: F-43m, No. 216
* calculated formation energy: -36 meV/atom

Record 7
The following is a PBE calculation of a relaxed DyLuMgTl crystal, from the Alexandria database.

abc: 5.291 5.291 5.291
angles: 60.00 60.00 60.00
Positions (direct):
Tl1 0.500 0.500 0.500
Lu1 0.750 0.750 0.750
Mg1 0.000 0.000 0.000
Dy1 0.250 0.250 0.250

* magnetic moment: 0.00 μB per formula unit
* symmetry: F-43m, No. 216
* calculated formation energy: -199 meV/atom

Record 8
The following is a PBE calculation of a relaxed DyLuMgZr crystal, from the Alexandria database.

abc: 5.310 5.310 5.310
angles: 60.00 60.00 60.00
Positions (direct):
Mg1 0.500 0.500 0.500
Lu1 0.250 0.250 0.250
Zr1 0.000 0.000 0.000
Dy1 0.750 0.750 0.750

* magnetic moment: 2.03 μB per formula unit
* symmetry: F-43m, No. 216
* calculated formation energy: 134 meV/atom

Record 9
The following is a PBE calculation of a relaxed DyLu2Mn crystal, from the Alexandria database.

abc: 3.476 3.476 8.466
angles: 90.00 90.00 90.00
Positions (direct):
Lu1 0.000 0.000 0.802
Lu2 0.000 0.000 0.198
Mn1 0.500 0.500 0.000
Dy1 0.500 0.500 0.500

* magnetic moment: 3.41 μB per formula unit
* symmetry: P4/mmm, No. 123
* calculated formation energy: 99 meV/atom

Record 10
The following is a PBE calculation of a relaxed DyLuMnOs crystal, from the Alexandria database.

abc: 4.852 4.852 4.852
angles: 60.00 60.00 60.00
Positions (direct):
Lu1 0.250 0.250 0.250
Os1 0.500 0.500 0.500
Mn1 0.000 0.000 0.000
Dy1 0.750 0.750 0.750

* magnetic moment: 3.65 μB per formula unit
* symmetry: F-43m, No. 216
* calculated formation energy: -56 meV/atom

Record 11
The following is a PBE calculation of a relaxed DyLuMnRu crystal, from the Alexandria database.

abc: 4.854 4.854 4.854
angles: 60.00 60.00 60.00
Positions (direct):
*/
Work order
Quote the calculation results further above exactly.
Reply
Record 1
The following is a PBE calculation of a relaxed DyLuMgOs crystal, from the Alexandria database.

abc: 4.946 4.946 4.946
angles: 60.00 60.00 60.00
Positions (direct):
Mg1 0.750 0.750 0.750
Lu1 0.500 0.500 0.500
Os1 0.250 0.250 0.250
Dy1 0.000 0.000 0.000

* magnetic moment: 0.00 μB per formula unit
* symmetry: F-43m, No. 216
* calculated formation energy: -178 meV/atom

Record 2
The following is a PBE calculation of a relaxed DyLuMgPb crystal, from the Alexandria database.

abc: 5.320 5.320 5.320
angles: 60.00 60.00 60.00
Positions (direct):
Pb1 0.500 0.500 0.500
Mg1 0.000 0.000 0.000
Lu1 0.750 0.750 0.750
Dy1 0.250 0.250 0.250

* magnetic moment: 0.00 μB per formula unit
* symmetry: F-43m, No. 216
* calculated formation energy: -227 meV/atom

Record 3
The following is a PBE calculation of a relaxed DyLuMgPt crystal, from the Alexandria database.

abc: 5.030 5.030 5.030
angles: 60.00 60.00 60.00
Positions (direct):
Mg1 0.250 0.250 0.250
Lu1 0.500 0.500 0.500
Pt1 0.750 0.750 0.750
Dy1 0.000 0.000 0.000

* magnetic moment: 0.00 μB per formula unit
* symmetry: F-43m, No. 216
* calculated formation energy: -621 meV/atom

Record 4
The following is a PBE calculation of a relaxed DyLuPuMg crystal, from the Alexandria database.

abc: 5.408 5.408 5.408
angles: 60.00 60.00 60.00
Positions (direct):
Mg1 0.000 0.000 0.000
Lu1 0.250 0.250 0.250
Dy1 0.750 0.750 0.750
Pu1 0.500 0.500 0.500

* magnetic moment: 6.26 μB per formula unit
* symmetry: F-43m, No. 216
* calculated formation energy: 150 meV/atom

Record 5
The following is a PBE calculation of a relaxed SmDyLuMg crystal, from the Alexandria database.

abc: 5.493 5.493 5.493
angles: 60.00 60.00 60.00
Positions (direct):
Mg1 0.750 0.750 0.750
Lu1 0.250 0.250 0.250
Sm1 0.000 0.000 0.000
Dy1 0.500 0.500 0.500

* magnetic moment: 0.00 μB per formula unit
* symmetry: F-43m, No. 216
* calculated formation energy: 20 meV/atom

Record 6
The following is a PBE calculation of a relaxed DyLuMgTc crystal, from the Alexandria database.

abc: 4.983 4.983 4.983
angles: 60.00 60.00 60.00
Positions (direct):
Mg1 0.000 0.000 0.000
Lu1 0.750 0.750 0.750
Tc1 0.500 0.500 0.500
Dy1 0.250 0.250 0.250

* magnetic moment: 0.00 μB per formula unit
* symmetry: F-43m, No. 216
* calculated formation energy: -36 meV/atom

Record 7
The following is a PBE calculation of a relaxed DyLuMgTl crystal, from the Alexandria database.

abc: 5.291 5.291 5.291
angles: 60.00 60.00 60.00
Positions (direct):
Tl1 0.500 0.500 0.500
Lu1 0.750 0.750 0.750
Mg1 0.000 0.000 0.000
Dy1 0.250 0.250 0.250

* magnetic moment: 0.00 μB per formula unit
* symmetry: F-43m, No. 216
* calculated formation energy: -199 meV/atom

Record 8
The following is a PBE calculation of a relaxed DyLuMgZr crystal, from the Alexandria database.

abc: 5.310 5.310 5.310
angles: 60.00 60.00 60.00
Positions (direct):
Mg1 0.500 0.500 0.500
Lu1 0.250 0.250 0.250
Zr1 0.000 0.000 0.000
Dy1 0.750 0.750 0.750

* magnetic moment: 2.03 μB per formula unit
* symmetry: F-43m, No. 216
* calculated formation energy: 134 meV/atom

Record 9
The following is a PBE calculation of a relaxed DyLu2Mn crystal, from the Alexandria database.

abc: 3.476 3.476 8.466
angles: 90.00 90.00 90.00
Positions (direct):
Lu1 0.000 0.000 0.802
Lu2 0.000 0.000 0.198
Mn1 0.500 0.500 0.000
Dy1 0.500 0.500 0.500

* magnetic moment: 3.41 μB per formula unit
* symmetry: P4/mmm, No. 123
* calculated formation energy: 99 meV/atom

Record 10
The following is a PBE calculation of a relaxed DyLuMnOs crystal, from the Alexandria database.

abc: 4.852 4.852 4.852
angles: 60.00 60.00 60.00
Positions (direct):
Lu1 0.250 0.250 0.250
Os1 0.500 0.500 0.500
Mn1 0.000 0.000 0.000
Dy1 0.750 0.750 0.750

* magnetic moment: 3.65 μB per formula unit
* symmetry: F-43m, No. 216
* calculated formation energy: -56 meV/atom

Record 11
The following is a PBE calculation of a relaxed DyLuMnRu crystal, from the Alexandria database.

abc: 4.854 4.854 4.854
angles: 60.00 60.00 60.00
Positions (direct):